Civil Justice Is Not About Special Interests
By Graham Steele & David Arkush
Far too often, the press covers civil justice issues purely as battles between special interests — business versus "the trial lawyers" — without much discussion on how the policies at issue would affect the public. We weren’t surprised when the Wall Street Journal presented our opposition to pre-dispute binding mandatory arbitration as kowtowing to the trial lawyers. The editorial board of the WSJ is unabashedly conservative and pro-business, and a battle between powerful, well-resourced special interests provides a compelling narrative. We were happy to set them straight. But this story line persists with too many of the civil justice issues that we work on here at Public Citizen — and in too many publications from which we expect better.
~~~
# Y3Ag2Hg7 (PBE, relaxed)
data_Y3Ag2Hg7
_cell_length_a 4.866
_cell_length_b 3.746
_cell_length_c 16.267
_cell_angle_alpha 90.00
_cell_angle_beta 97.57
_cell_angle_gamma 90.00
_symmetry_space_group_name_H-M 'P 1 2/m 1'
_symmetry_Int_Tables_number 10
loop_
_symmetry_equiv_pos_as_xyz
'x,y,z'
'-x,-y,-z'
'-x,y,-z'
'x,-y,z'
loop_
_atom_site_label
_atom_site_fract_x
_atom_site_fract_y
_atom_site_fract_z
Y1 0.000 0.000 0.000
Y2 0.309 0.500 0.629
Ag1 0.151 0.000 0.287
Hg1 0.085 0.500 0.150
Hg2 0.230 0.000 0.455
Hg3 0.393 0.000 0.807
Hg4 0.500 0.500 0.000
# Raw total energy, eV per atom: -2.49
# E_form, eV per atom: -0.2270

~~~~~

Computed, not measured: crystalline SrSm2WO8 at its relaxed geometry at the PBE+U level of DFT.

abc: 4.2694 5.4399 7.0552
angles: 90.64 107.44 90.24
Fractional positions:
Sr  0.0000  0.0000  0.0000
Sm  0.3735  0.4882  0.7039
Sm  0.6265  0.5118  0.2961
W  0.0000  0.0000  0.5000
O  0.1736  0.5026  0.9988
O  0.1831  0.2456  0.3674
O  0.1948  0.7160  0.4043
O  0.3531  0.0403  0.7533
O  0.6469  0.9597  0.2467
O  0.8052  0.2840  0.5957
O  0.8169  0.7544  0.6326
O  0.8264  0.4974  0.0012

## Properties
Its calculated total energy is -88.9 eV/cell. As for the total magnetization: 0.000 μB per atom. For the density of states at the Fermi level, the calculation gives 0.00 states/eV/f.u.
~~~
If you read the CL&P blog over the weekend, you saw an example in a brief excerpt of a recent NY Times Magazine article about the "tort war" between the United States Chamber of Commerce and the American Association for Justice (formerly the Association of Trial Lawyers of America). The article mentions two important pieces of legislation, the Arbitration Fairness Act and the Sunshine in Litigation Act, but discusses them in the frame of the "tort reform battle" rather than reporting on their value to the American public generally:
At the federal level, trial lawyers are pushing for a law that would
make it easier for consumers to sue instead of having to submit to
binding arbitration, as many contracts — for credit cards, for example
— now require. The trial lawyers are also trying to make it harder for
defendants to keep legal proceedings secret.
These proposed laws might benefit trial lawyers, but much more important is that they will benefit the public. That’s why we’re working to pass them:
- Average Americans are not just forced into binding arbitration when they bring tort suits. Arbitrators also decide statutory discrimination claims, fraud or unfair and deceptive practice claims, and disputes under contract law. Also, as we demonstrated in a 2007 report, the overwhelming majority of consumer arbitrations are initiated by businesses. Prohibiting mandatory arbitration is not about getting lawyers more business. It’s about ensuring that disputes between consumers and companies are resolved in a truly neutral forum — not private, company courts, where the odds are stacked against consumers.
- Unsealing court settlements and case-related information benefits the public because it helps consumers make informed decisions in the marketplace, alerts the public and the government to important health and safety issues, and exposes and deters misconduct. Court secrecy isn’t about the financial incentives of lawyers. In fact, it’s often in a plaintiff attorney’s financial interest to agree to secrecy. The Sunshine in Litigation Act prioritizes the public interest above the financial interests of specific parties and their lawyers.
On a separate issue, a recent National Journal article discussed a bill introduced last week that would reverse the Supreme Court decision Riegel v. Medtronic, which granted medical device manufacturers immunity from lawsuits. Again, the article frames the issue as a battle of special interests: "Trial lawyers have started to target issues on a case-by-case basis
where they sense that preemption has run amok to the detriment of
consumers who are unable to seek redress in the courts . . . Opponents rely on an old standby: bashing the trial bar." And again, the narrative misses the point. Riegel was argued by Public Citizen’s litigation group, not "the trial lawyers." As Allison Zieve, the lawyer who argued the case, points out, "[t]he possibility of being held liable for injuries their products cause
creates an invaluable incentive for manufacturers to make their
products as safe as they can, to revise labels as soon as they become
aware that they are inadequate and to remove unsafe products from the
Holding manufacturers accountable means better, safer medical devices for patients. Businesses benefit directly from the liability shield created by preemption — they get complete immunity from accountability for the harm they cause — and the public would benefit from undoing the Supreme Court’s decision. Trial lawyers might benefit too. But that’s a much less interesting and less important part of the story — and it’s certainly no reason to oppose a policy that would benefit tens of millions of Americans.
The "cui bono" slant of all of these stories obscures the important fight to preserve the public benefits of the civil justice system, and the ways in which these bills would advance the interests of ordinary citizens. Courts are public institutions that help Americans uncover necessary information, deter wrongful conduct, and redress injuries. The press should stop distracting us with stories about bickering special interests and spend more time writing about what’s in the public interest. The public could use some good reporting on these important bills in Congress.